-- Work order --
Start at the top of the lines further down and transcribe each line, ending with the one that has "0.923 2.128", please.

-- Listing --
____________
No. 1
## Zn3Cr6Fe4O24 (PBE+U)

Data for an optimized crystal structure of Zn3Cr6Fe4O24.

The calculation puts the density at 3.73 g cm⁻³. Its energy relative to the elements is -1660.5 meV/atom. The size of the total moment comes out at 0.595 μB/atom. As for the raw total energy: -6.440 eV per atom. The crystal system is triclinic.

```
Zn3Cr6Fe4O24
1.0
6.794 0.000 0.000
-1.539 8.096 0.000
-2.743 -3.190 9.031
Zn Cr Fe O
3 6 4 24
Cartesian
0.000 0.000 0.000
-0.129 5.377 2.600
2.641 -0.472 6.431
-2.561 2.232 7.570
-0.829 -1.177 6.931
1.396 0.613 3.366
1.116 4.293 5.665
3.341 6.083 2.100
5.074 2.674 1.461
-2.191 4.010 4.666
1.616 3.362 0.929
0.896 1.544 8.102
4.703 0.895 4.365
-2.033 -0.397 6.040
-2.179 2.411 5.844
-3.050 3.715 8.327
-0.226 3.811 1.401
-2.082 5.493 6.213
-1.368 -1.397 8.524
-0.007 0.785 4.183
1.280 -0.755 2.392
-1.089 1.442 8.397
-0.088 4.534 4.480
1.708 1.944 2.405
0.597 -0.263 6.911
1.915 5.169 2.120
0.804 2.961 6.626
2.601 0.371 4.551
3.602 3.464 0.634
1.233 5.661 6.639
2.520 4.121 4.848
3.881 6.302 0.507
4.594 -0.587 2.818
2.739 1.094 7.630
5.563 1.191 0.704
4.692 2.495 3.187
4.545 5.303 2.991
```

=====

No. 2
## Li3V2P4H2O16 (PBE+U)

Data for an optimized crystal structure of Li3V2P4H2O16.

The calculation puts the density at 2.92 g cm⁻³. Its energy relative to the elements is -2598.3 meV/atom. The size of the total moment comes out at 0.000 μB/atom. The calculation puts the offset from the most stable computed form at 0.000 eV/atom. As for the raw total energy: -6.936 eV per atom.

```
Li3V2P4H2O16
1.0
-3.976 -1.357 -2.439
4.718 -15.416 0.541
-2.034 -0.251 7.298
Li H O P V
6 4 32 8 4
Cartesian
-2.409 -1.886 -0.295
-1.210 -7.421 5.453
-2.842 -6.197 0.556
1.148 -15.126 5.723
-0.486 -13.904 0.826
-0.051 -9.592 -0.026
0.473 -12.425 2.848
-1.883 -4.717 2.577
-3.497 -9.346 5.118
-5.852 -1.638 4.846
-4.266 -2.632 2.715
-2.758 -5.425 2.407
3.513 -15.285 0.302
-4.807 -1.722 5.084
-3.055 -3.468 4.771
-0.385 -13.979 5.099
-0.864 -3.024 0.277
-0.710 -5.909 0.363
-0.699 -11.177 5.040
-1.043 -15.494 3.120
2.095 -9.227 2.512
1.467 -15.997 1.483
-0.319 -12.432 -0.610
1.645 -13.618 0.633
-0.958 -4.623 6.078
-2.676 -4.727 -0.881
1.399 -12.330 6.349
1.492 -10.731 0.548
-0.825 -3.984 2.666
3.000 -14.375 2.663
-0.262 -1.521 2.241
-0.389 -8.759 4.246
1.155 -7.577 0.032
-1.911 -10.340 2.985
-2.746 -1.049 3.975
-3.400 -7.788 2.850
1.532 -11.691 2.938
-0.402 -13.131 2.678
0.642 -6.668 2.393
-2.451 -9.431 5.356
-2.742 -6.272 4.828
-0.892 -8.287 1.210
-0.225 -2.956 1.711
0.071 -7.089 1.015
-3.427 -6.372 3.433
-1.345 -9.962 4.347
-1.070 -14.078 3.704
2.132 -10.662 1.981
-3.701 -2.255 4.076
2.429 -14.798 1.284
-1.008 -0.162 3.653
-0.457 -12.459 6.475
1.352 -7.871 3.925
-2.813 -4.753 6.203
```

=====

No. 3
## Fe2P3O10 (PBE+U)

Data for an optimized crystal structure of Fe2P3O10.

The calculation puts the density at 3.37 g cm⁻³. Its energy relative to the elements is -2386.1 meV/atom. The size of the total moment comes out at 0.600 μB/atom. As for the raw total energy: -7.138 eV per atom. The crystal system is monoclinic.

```
Fe2P3O10
1.0
4.743 0.000 0.000
0.000 8.513 0.000
-1.207 0.000 8.899
Fe P O
4 6 20
Cartesian
-0.208 0.616 2.904
-0.208 3.641 2.904
3.744 4.872 5.995
3.744 7.897 5.995
0.587 2.128 7.252
1.283 6.385 4.111
2.012 2.128 1.300
1.524 6.385 7.598
2.252 2.128 4.787
2.949 6.385 1.647
-0.157 0.847 7.047
-0.157 3.410 7.047
0.450 5.103 4.349
0.450 7.667 4.349
0.172 6.385 6.818
1.227 0.848 1.543
1.227 3.409 1.543
0.923 2.128 4.017
1.613 6.385 2.549
2.225 6.385 0.231
1.311 2.128 8.668
1.923 2.128 6.349
2.612 6.385 4.882
2.309 5.105 7.356
2.309 7.665 7.356
3.364 2.128 2.080
3.085 0.846 4.550
3.085 3.411 4.550
3.693 5.104 1.851
3.693 7.666 1.851
```

=====

No. 4
## Ca8Ti3Mn5O24 (PBE+U)

Data for an optimized crystal structure of Ca8Ti3Mn5O24.
____________

-- Done --
No. 1
## Zn3Cr6Fe4O24 (PBE+U)

Data for an optimized crystal structure of Zn3Cr6Fe4O24.

The calculation puts the density at 3.73 g cm⁻³. Its energy relative to the elements is -1660.5 meV/atom. The size of the total moment comes out at 0.595 μB/atom. As for the raw total energy: -6.440 eV per atom. The crystal system is triclinic.

```
Zn3Cr6Fe4O24
1.0
6.794 0.000 0.000
-1.539 8.096 0.000
-2.743 -3.190 9.031
Zn Cr Fe O
3 6 4 24
Cartesian
0.000 0.000 0.000
-0.129 5.377 2.600
2.641 -0.472 6.431
-2.561 2.232 7.570
-0.829 -1.177 6.931
1.396 0.613 3.366
1.116 4.293 5.665
3.341 6.083 2.100
5.074 2.674 1.461
-2.191 4.010 4.666
1.616 3.362 0.929
0.896 1.544 8.102
4.703 0.895 4.365
-2.033 -0.397 6.040
-2.179 2.411 5.844
-3.050 3.715 8.327
-0.226 3.811 1.401
-2.082 5.493 6.213
-1.368 -1.397 8.524
-0.007 0.785 4.183
1.280 -0.755 2.392
-1.089 1.442 8.397
-0.088 4.534 4.480
1.708 1.944 2.405
0.597 -0.263 6.911
1.915 5.169 2.120
0.804 2.961 6.626
2.601 0.371 4.551
3.602 3.464 0.634
1.233 5.661 6.639
2.520 4.121 4.848
3.881 6.302 0.507
4.594 -0.587 2.818
2.739 1.094 7.630
5.563 1.191 0.704
4.692 2.495 3.187
4.545 5.303 2.991
```

=====

No. 2
## Li3V2P4H2O16 (PBE+U)

Data for an optimized crystal structure of Li3V2P4H2O16.

The calculation puts the density at 2.92 g cm⁻³. Its energy relative to the elements is -2598.3 meV/atom. The size of the total moment comes out at 0.000 μB/atom. The calculation puts the offset from the most stable computed form at 0.000 eV/atom. As for the raw total energy: -6.936 eV per atom.

```
Li3V2P4H2O16
1.0
-3.976 -1.357 -2.439
4.718 -15.416 0.541
-2.034 -0.251 7.298
Li H O P V
6 4 32 8 4
Cartesian
-2.409 -1.886 -0.295
-1.210 -7.421 5.453
-2.842 -6.197 0.556
1.148 -15.126 5.723
-0.486 -13.904 0.826
-0.051 -9.592 -0.026
0.473 -12.425 2.848
-1.883 -4.717 2.577
-3.497 -9.346 5.118
-5.852 -1.638 4.846
-4.266 -2.632 2.715
-2.758 -5.425 2.407
3.513 -15.285 0.302
-4.807 -1.722 5.084
-3.055 -3.468 4.771
-0.385 -13.979 5.099
-0.864 -3.024 0.277
-0.710 -5.909 0.363
-0.699 -11.177 5.040
-1.043 -15.494 3.120
2.095 -9.227 2.512
1.467 -15.997 1.483
-0.319 -12.432 -0.610
1.645 -13.618 0.633
-0.958 -4.623 6.078
-2.676 -4.727 -0.881
1.399 -12.330 6.349
1.492 -10.731 0.548
-0.825 -3.984 2.666
3.000 -14.375 2.663
-0.262 -1.521 2.241
-0.389 -8.759 4.246
1.155 -7.577 0.032
-1.911 -10.340 2.985
-2.746 -1.049 3.975
-3.400 -7.788 2.850
1.532 -11.691 2.938
-0.402 -13.131 2.678
0.642 -6.668 2.393
-2.451 -9.431 5.356
-2.742 -6.272 4.828
-0.892 -8.287 1.210
-0.225 -2.956 1.711
0.071 -7.089 1.015
-3.427 -6.372 3.433
-1.345 -9.962 4.347
-1.070 -14.078 3.704
2.132 -10.662 1.981
-3.701 -2.255 4.076
2.429 -14.798 1.284
-1.008 -0.162 3.653
-0.457 -12.459 6.475
1.352 -7.871 3.925
-2.813 -4.753 6.203
```

=====

No. 3
## Fe2P3O10 (PBE+U)

Data for an optimized crystal structure of Fe2P3O10.

The calculation puts the density at 3.37 g cm⁻³. Its energy relative to the elements is -2386.1 meV/atom. The size of the total moment comes out at 0.600 μB/atom. As for the raw total energy: -7.138 eV per atom. The crystal system is monoclinic.

```
Fe2P3O10
1.0
4.743 0.000 0.000
0.000 8.513 0.000
-1.207 0.000 8.899
Fe P O
4 6 20
Cartesian
-0.208 0.616 2.904
-0.208 3.641 2.904
3.744 4.872 5.995
3.744 7.897 5.995
0.587 2.128 7.252
1.283 6.385 4.111
2.012 2.128 1.300
1.524 6.385 7.598
2.252 2.128 4.787
2.949 6.385 1.647
-0.157 0.847 7.047
-0.157 3.410 7.047
0.450 5.103 4.349
0.450 7.667 4.349
0.172 6.385 6.818
1.227 0.848 1.543
1.227 3.409 1.543
0.923 2.128 4.017